“Fine,” I said. “Just…be careful. There’s no reason for you to be tempting fate near the border.”
“Didn’t you hear?” he said. “The war’s over. We own California now.”
“You don’t own it. You just got your land back, that’s all. But there are plenty of other packs who would love to move in. You’re too old to be fighting over territory. Just don’t push it, okay?”
“All right, Button,” he said. “It’s gettin’ late. You get some sleep now. Don’t worry about me.”
“I love you,” I said.
“I love you too.”
The weight of one more layer of lies felt heavy against my heart as I clicked off the phone and tossed it on the bed next to me.
He was pushing eighty, but Adam Burnett could still hunt like he was a wolf half his age. God, it felt good to shift. To be with other wolves again. We spent the morning tracking two big bucks in the woods along the lake. I ran at top speed, chasing the larger of the two, letting Adam and Doyle go after the other.
It had been so long since I’d done anything like this. Let the full power of my wolf out. Primal need coursed through me. To hunt. To kill. To live.
-- Unrelated to this entry: calculated molecules --
........
21
Properties=species:S:1:pos:R:3:mulliken_charge:R:1 method="wB97M-V/def2-TZVPD" relative_energy_kj_mol=126.9 energy_ev=-10980.56350 smiles="NCCCCC=O.O" homo_ev=-9.35
O 1.79 1.10 -1.65 -0.487
C 0.62 0.94 -1.44 -0.095
C 0.01 -0.33 -0.96 -0.394
C -0.70 -0.13 0.38 -0.726
C 0.21 0.32 1.53 -0.451
C 1.33 -0.67 1.86 -0.792
N 0.91 -2.00 2.34 -0.613
H -0.09 1.77 -1.62 0.369
H 0.75 -1.13 -0.92 0.295
H -0.76 -0.60 -1.69 0.340
H -1.48 0.62 0.25 0.291
H -1.20 -1.05 0.68 0.342
H 0.70 1.27 1.27 0.317
H -0.40 0.49 2.41 0.354
H 1.99 -0.84 1.02 0.352
H 1.97 -0.23 2.63 0.359
H 0.27 -1.88 3.11 0.259
H 0.37 -2.45 1.61 0.275
H -3.40 0.17 -2.54 0.288
H -3.77 1.50 -1.87 0.285
O -3.09 0.82 -1.91 -0.566

19
Properties=species:S:1:pos:R:3:mulliken_charge:R:1 method="wB97M-V/def2-TZVPD" relative_energy_kj_mol=158.7 energy_ev=-18196.95843 homo_ev=-8.44
C -2.25 1.05 -0.26 -0.341
C -0.87 1.00 -0.54 0.424
C -0.23 -0.10 0.20 0.322
C 1.65 -0.96 1.50 -0.734
C 1.45 -1.96 0.43 -0.610
C 1.20 -0.48 0.13 -0.127
C -0.28 1.91 -1.54 -1.460
N -2.76 0.22 0.60 -0.655
P -1.54 -0.74 1.27 0.065
H -2.94 1.80 -0.75 0.327
H 1.18 -0.78 2.40 0.318
H 2.71 -1.01 1.65 0.260
H 2.44 -2.44 0.10 0.221
H 0.60 -2.47 0.15 0.335
H 1.74 0.14 -0.49 0.585
H 0.28 2.62 -0.86 0.293
H -0.90 2.53 -2.12 0.434
H 0.31 1.47 -2.39 0.297
H -1.78 -1.81 0.54 0.044

126
Properties=species:S:1:pos:R:3:mulliken_charge:R:1 method="wB97M-V/def2-TZVPD" energy_ev=-396330.65589 smiles="CCOCCO[C@@H](O)O[C@](CCCSC(=S)n1ccnc1)([C@H](C)O[C@@](N)(CCOC(=O)CC)P(O)O)[Si](C)(C)C.ClC(Cl)Cl.ClC(Cl)Cl.ClC(Cl)Cl.ClC(Cl)Cl.ClC(Cl)Cl.ClC(Cl)Cl.ClC(Cl)Cl.ClC(Cl)Cl" homo_ev=-7.84
C -3.71 -1.40 -0.40 -0.658
C -3.93 -1.26 1.11 -0.176
O -2.64 -1.19 1.72 -0.126
C -2.59 -0.23 2.77 -0.929
C -2.35 1.16 2.16 -0.221
O -1.00 1.21 1.74 0.116
C -0.81 2.12 0.67 -0.746
O -1.01 3.44 1.08 -0.555
O 0.36 1.84 0.02 0.806
C 1.56 2.58 0.26 2.252
C 1.62 4.01 -0.34 -1.906
C 0.54 4.34 -1.40 0.206
C -0.02 5.76 -1.13 -0.706
S -1.21 6.28 -2.41 -0.107
C -2.66 5.22 -2.30 -0.142
S -4.01 5.79 -1.65 -0.161
N -2.55 3.91 -2.80 0.331
C -2.14 3.46 -4.03 -0.227
C -2.19 2.12 -3.99 -1.248
N -2.64 1.70 -2.74 -0.100
C -2.85 2.78 -2.09 -0.446
C 2.66 1.76 -0.51 -1.478
C 2.34 1.62 -2.00 -1.487
O 3.13 0.60 0.16 -0.054
C 2.58 -0.66 -0.19 0.053
N 1.17 -0.81 -0.15 1.553
C 3.19 -1.34 -1.49 -1.084
C 2.10 -1.98 -2.37 -0.583
O 1.61 -3.23 -1.87 -0.268
C 0.27 -3.38 -2.14 0.051
O -0.09 -3.74 -3.25 -0.661
C -0.80 -3.15 -1.07 1.178
C -0.36 -3.37 0.39 -0.197
P 3.14 -1.79 1.24 0.134
O 3.03 -3.33 0.69 -0.516
O 4.71 -1.39 1.52 -0.429
Si 2.21 2.60 2.10 1.407
C 1.41 4.01 3.13 -1.559
C 1.89 1.01 3.05 -0.992
C 4.08 2.92 2.16 -1.509
H -3.29 -2.37 -0.64 -0.222
H -4.65 -1.30 -0.96 0.665
H -3.04 -0.59 -0.72 0.183
H -4.51 -0.35 1.31 0.444
H -4.51 -2.12 1.46 0.007
H -1.80 -0.51 3.48 0.298
H -3.57 -0.17 3.26 0.328
H -2.52 1.91 2.95 0.296
H -3.08 1.27 1.35 0.228
H -1.62 1.89 -0.03 -0.460
H -1.04 3.51 2.04 0.446
H 1.44 4.70 0.50 0.662
H 2.59 4.29 -0.75 0.202
H -0.33 3.68 -1.40 -0.845
H 1.02 4.40 -2.38 0.908
........
I knew I’d been lucky. During the worst years of the war, I was in relative safety in Wild Lake. But even there, I couldn’t fully be myself. I had to hide my power for fear of upsetting the balance. They were good men in Michigan. Allies. But having me there was a threat. I never felt truly at home. I could never claim a pack. I was an interloper.
Adam and Doyle hunted just south of me. I dragged my kill to the clearing and met them. Adam’s wolf had gone pure white with age. Blood stained the fur around his mouth as he tore into the deer’s flesh. Long ago, he would have gone on this hunt with my father. He would have been at his side. His wing man. Ready to kill and die for him.
I saw tears in his eyes as he looked at me. I knew he was thinking of my father today as well. His Alpha. His former pack leader. Now I was all that was left.
It was a good day. We packed up what we could and headed back to Adam’s house. They’d offered to let me stay there while I was in Albany. I hadn’t yet decided if I wanted to. Even there, I felt like an interloper somehow. As evening fell, I joined Adam and Doyle in the den. Now that we’d all sated our wolves, it was time to talk.
“So,” Doyle said, diving into a conversation I didn’t yet want to have. “Are you really going to stand up with Grayson at the Gathering? You know what that means.”
“Is he really going to go through with marking that girl?” I couldn’t say Brynna’s name. I worried just by uttering it, Doyle and Adam would sense something in me.
Adam shrugged. “It really looks like it. It’s an odd match, that’s for sure. But Grayson’s right that she makes him look good. She’s an Alpha’s mate.”
“Claiming her doesn’t make him an Alpha,” Doyle said. “She’s still out of his league.”
“What do you really know about her?” I asked. I had to be careful. I couldn’t risk them knowing what I’d done.
“Not a lot,” Adam answered. “She’s cagey anytime you try to ask her about herself. Anyone else pick up on that?”
“I have,” Doyle said, smacking his lips. “I took her aside a little bit at Diana’s Christmas party last year. It was a few days after they announced she was going to take Grayson’s mark. But we didn’t get very far into the conversation.”
“And she didn’t have Diana’s blessing, I take it,” I said.
“Nope,” Doyle continued. “Not the coven’s either as far as I know. She’s human. I don’t sense a whiff of magic about her other than her being an Alpha’s mate. But she never seemed scared of Diana. At least, what little I saw, she didn’t back down from her. I think that’s what turned Grayson onto her; I mean, other than the obvious. Grayson likes the pretty girls, but most of the ones he’d show up with were vapid. Diana chewed ’em up and spat them out.”
“So you’re going to stay in town until after the Gathering, then?” Adam asked. He was the sliest of them all and he looked right through me.
“It’s archaic, isn’t it?” I said.
“It’s important,” Adam said. “We lost so much during the war. Had to hide so much of who we are. Traditions matter now more than they ever did. It’s a time and a place to renew old alliances. Form new ones. Remind each other what makes us more alike than different so there will never be another war like the one we just survived.”
“If you do this,” Doyle said. “If you stand up there with Grayson during the ceremony and give that girl to him…in the eyes of every shifter and magic user in New York, you’re giving your blessing on him becoming the next Governor. Do you really want that?”
I shook my head. “I don’t know. If my dad were alive ... I’d do it to keep the peace. But I haven’t even talked to Grayson before this week in I don’t even know how long. I debated even coming back here for the funeral. I did because I knew I’d get a chance to see you assholes.”
“I’m touched,” Doyle put a hand to his chest.